庄三は、1816年(文化13)に寺井宿の貧しい農家に生まれ、幼名を庄七と言い、通称茶屋の庄七とか茶屋の岩松と呼ばれていたそうです。それは、ひどく貧しい暮らしだったため、口減らしのために赤ん坊の頃から茶屋の与三郎に預けられたからと言われています。 その後、再興九谷の一つの若杉窯へ奉公に出され、当初は使い走りとして働いていたようですが、研究熱心で負けじ魂の努力家だった庄七は、呉須摺りから始まって、三田勇次郎から赤絵の細書きを学び、粟生屋源右衛門から烙陶を学び、藪六右衛門から白磁の製法と上絵付けを学び、特に若杉窯主工の三田勇次郎からは多くを学んだようです。 努力の甲斐あり、庄七は小野窯に主工として招かれるまでになります。九谷焼の歴史の中で、小野窯の名声が高いのは、庄七が小野窯で多くの名作を残したためと言われています。 しかし、庄七も小野窯時代には、花鳥風月の他には竹林七賢人や七福神あるいは酒呑童子などを画題とした作品が多かったのですが、庄三と名乗るようになった嘉永の頃から、汐汲み女、茶摘み女、田植えの百姓、釣り人などの庶民を画題にした作品が増えていったようです。
因みに、庄三の作品には贋作が多いのですが、多くの庄三の作品を見れば、贋作は一目で見分けがつくようになります。贋作の殆どは、庄三の割絵の構図や画題だけを真似ただけであり、絵付けも粗雑です。昔、なんでも鑑定団というテレビ番組に庄三の贋作が出品されたことがあります。その作品の鑑定をした中島誠之助が、「庄三の描く作品からは、市井の人々のさわさわとした話し声や囁き声や衣擦れの音が聞こえてくるんです。贋作ではまったくそれが聞こえてきません」というようなことを言っていました。同感です。本物の技術的な細かい特徴や銘の特徴などを語ることもできますが、一言で言えば、そういうことだと思います。 さて、今日は私のコレクションの中から、そういった庶民の声が聞こえてきそうな庄三の大皿をご紹介させて頂きます。
Data records that have nothing to do with the article:
┌──
Record 1
{
  "formula": "C30H37BBr2FN4O5STm",
  "method": "wB97M-V/def2-TZVPD",
  "total_charge": 2,
  "energy_ev": -231742.51218,
  "relative_energy_kcal_mol": 27.2,
  "homo_energy_ev": [-11.719, -11.707],
  "spin_multiplicity": 3,
  "gap_ev": [6.73, 6.72],
  "species": ["Tm", "Br", "C", "Br", "H", "H", "C", "C", "N", "C", "C", "C", "O", "O", "C", "O", "C", "C", "C", "F", "C", "C", "C", "N", "C", "C", "N", "C", "C", "H", "H", "H", "H", "H", "H", "H", "H", "H", "H", "H", "H", "H", "H", "H", "H", "H", "H", "S", "C", "N", "C", "C", "C", "C", "C", "C", "H", "H", "H", "H", "H", "C", "C", "C", "O", "B", "O", "C", "C", "C", "H", "H", "H", "H", "H", "H", "H", "H", "H", "H", "H", "H"],
  "positions_angstrom": [[-0.0891, 0.3508, -2.9933], [1.0525, 0.1099, -6.6371], [2.8017, 0.6345, -6.0021], [2.4390, 1.6043, -4.3877], [3.3357, 1.3273, -6.7515], [3.4872, -0.1946, -5.7813], [-0.8856, 3.4518, 4.1143], [0.5750, 3.3598, 3.6859], [0.6777, 2.4548, 2.4913], [0.8351, 2.9953, 1.2927], [0.5925, 2.3388, 0.0719], [0.8542, 3.0324, -1.2400], [1.1266, 4.1796, -1.1989], [0.7133, 2.3180, -2.3263], [0.0222, 1.0680, 0.1360], [-0.4282, 0.3860, -0.8622], [0.0200, 0.4428, 1.4438], [-0.1931, -0.9516, 1.4928], [0.0695, -1.5982, 2.6557], [-0.1112, -2.9230, 2.6907], [0.4740, -0.9652, 3.8364], [0.5669, 0.4112, 3.8079], [0.3734, 1.0873, 2.6061], [0.7837, -1.6787, 5.0085], [-0.1657, -1.4685, 6.1076], [-0.0573, -2.6953, 6.9955], [1.4066, -2.8402, 7.3594], [2.3062, -3.0360, 6.1452], [1.5536, -2.8694, 4.8664], [-0.9141, 4.0675, 4.9739], [-1.2837, 2.4677, 4.3600], [-1.5321, 3.8158, 3.3668], [1.2150, 3.0061, 4.5119], [0.9289, 4.3501, 3.3080], [1.0691, 4.0164, 1.2524], [-0.4823, -1.4786, 0.5825], [0.8419, 0.8611, 4.7426], [-1.2106, -1.3423, 5.7362], [0.1731, -0.5864, 6.6774], [-0.2956, -3.5934, 6.4721], [-0.6686, -2.5719, 7.9000], [1.4361, -3.6712, 7.9354], [1.6777, -2.0476, 7.9500], [2.8518, -3.9409, 6.3714], [3.0659, -2.2831, 6.1910], [0.9104, -3.7443, 4.6431], [2.3985, -2.8176, 4.0788], [2.4504, -3.6836, -3.2660], [1.1958, -2.5425, -3.1898], [1.5193, -1.4197, -2.5921], [2.8000, -1.3990, -2.1256], [3.4745, -0.3515, -1.4674], [4.8108, -0.5460, -1.0717], [5.4614, -1.7559, -1.2768], [4.8045, -2.7959, -1.9805], [3.4866, -2.6287, -2.3995], [0.1915, -2.6399, -3.5392], [2.9744, 0.5850, -1.2139], [5.3917, 0.3087, -0.6165], [6.5000, -1.9456, -0.9850], [5.2581, -3.7416, -2.3143], [-4.1126, -0.3707, -5.8638], [-4.2651, 0.1336, -4.4372], [-5.7413, 0.2653, -4.1163], [-3.5542, -0.8976, -3.6337], [-2.2508, -0.5219, -3.5058], [-2.1379, 0.8549, -3.9458], [-3.4409, 1.4105, -4.0450], [-3.7564, 1.9953, -2.7056], [-3.4300, 2.4903, -5.1032], [-3.8995, -1.4720, -5.9288], [-3.2348, 0.0652, -6.3684], [-4.9531, -0.0692, -6.5129], [-6.1578, -0.7711, -4.1077], [-6.1604, 0.8401, -4.9559], [-5.9527, 0.7225, -3.1567], [-3.8709, 1.2971, -1.8796], [-4.6357, 2.6721, -2.7509], [-2.9103, 2.6768, -2.5300], [-2.8984, 2.2130, -6.0095], [-2.8545, 3.3542, -4.7375], [-4.4193, 2.8282, -5.3487]]
}

=====

Record 2
{
└──
Regarding the theme of human figures depicted on Meiji-era ceramics, I previously wrote about how the subjects of these figures shifted over time from foreigners and members of the ruling classes, such as Chinese figures, aristocrats, and samurai, to common townsfolk and farmers. In this sense, it could be said that actively choosing scenes from the lives of ordinary people as subjects began with Kutani Shoza.
Shoza was born in 1816 (Bunka 13) into a poor farming family in Terai-juku. His childhood name was Shoshichi, and he was commonly called “Chaya no Shoshichi” or “Chaya no Iwamatsu.” This was because, due to the family’s extreme poverty, he was sent away to be cared for by a man named Yosaburo, who ran a teahouse (Chaya) from the time he was an infant—reportedly to reduce the family expenses to feed children.
Later, Shoshichi was sent to apprentice at the Wakasugi kiln, one of the sites associated with the revival of Kutani ware. Initially, he worked as a general helper, but Shoshichi, who was a dedicated researcher and a tenaciously hard worker, began by learning gosu suri (a method of preparing cobalt blue pigment). He studied fine red overglaze decoration under Mita Yujiro, learned underglaze techniques from Aoya Gen’emon, and gained knowledge of white porcelain production and overglaze techniques from Yabu Rokuemon. Of these, he especially learned much from Mita Yujiro, the head craftsman of the Wakasugi kiln.
Shoshichi's efforts bore fruit, and he was eventually invited to become the head craftsman at the Ono kiln. The fame of the Ono kiln in the history of Kutani ware is said to owe much to the masterpieces Shoshichi created there. However, during his time at the Ono kiln, Shoshichi mainly produced works featuring birds, flowers, and landscapes, as well as themes like the Seven Sages of the Bamboo Grove, the Seven Lucky Gods, and Shuten-doji.
It wasn’t until around the Kaei era (1848–1854), when he began using the name Shoza, that his works began to feature subjects such as women drawing seawater, tea-pickers, farmers planting rice, and fishermen—scenes of ordinary people.
Incidentally, many counterfeit works of Shoza exist, but after seeing many of his authentic works, one can easily distinguish the fakes. Most counterfeits merely imitate Shoza’s compositional style and themes, and their painting is crude. Once, a counterfeit Shoza piece was submitted to the TV program Antiques Appraisal Show. During the appraisal, art expert Seinosuke Nakajima remarked, “In Shoza’s genuine works, you can almost hear the lively conversations, whispers, and rustling clothes of the townsfolk he depicts. Counterfeits lack this entirely.” I completely agree. While one could analyze technical details or specific characteristics of his signatures, it all boils down to this point.
Now, let me introduce one of Shoza’s plates from my collection that seems to capture the very voices of ordinary people.
Depicted are men chatting as they fish, and a mother hurriedly walking with her child, carrying laundry. Can’t you almost hear their voices?